Excerpt >
Entry 1:
# Li2VCr2O6

A relaxed Li2VCr2O6 crystal (PBE with a Hubbard U, the Materials Project database).

Geometry as CIF:
```
data_Li2VCr2O6
_chemical_formula_sum 'Li4 V2 Cr4 O12'
_cell_length_a 5.095
_cell_length_b 10.217
_cell_length_c 5.158
_cell_angle_alpha 90.00
_cell_angle_beta 119.60
_cell_angle_gamma 89.99
_symmetry_space_group_name_H-M 'P 1'
_symmetry_Int_Tables_number 1
loop_
_symmetry_equiv_pos_as_xyz
'x,y,z'
loop_
_atom_site_label
_atom_site_type_symbol
_atom_site_fract_x
_atom_site_fract_y
_atom_site_fract_z
Li1 Li 0.149 0.750 0.500
Li2 Li 0.351 0.250 0.500
Li3 Li 0.649 0.750 0.500
Li4 Li 0.851 0.250 0.500
V1 V 0.500 0.500 0.999
V2 V 0.000 0.000 0.999
Cr1 Cr 0.666 0.000 0.332
Cr2 Cr 0.835 0.500 0.670
Cr3 Cr 0.166 0.500 0.332
Cr4 Cr 0.335 0.000 0.670
O1 O 0.186 0.597 0.000
O2 O 0.314 0.097 0.000
O3 O 0.686 0.903 0.000
O4 O 0.814 0.403 0.000
O5 O 0.009 0.106 0.340
O6 O 0.992 0.893 0.660
O7 O 0.168 0.393 0.660
O8 O 0.492 0.607 0.660
O9 O 0.331 0.894 0.340
O10 O 0.509 0.394 0.340
O11 O 0.831 0.606 0.340
O12 O 0.668 0.107 0.660
```

***

Entry 2:
# Li4V3CrO8

A relaxed Li4V3CrO8 crystal (PBE with a Hubbard U, the Materials Project database).

Geometry as CIF:
```
data_Li4V3CrO8
_chemical_formula_sum 'Li8 V6 Cr2 O16'
_cell_length_a 5.188
_cell_length_b 6.001
_cell_length_c 10.359
_cell_angle_alpha 89.85
_cell_angle_beta 99.76
_cell_angle_gamma 106.91
_symmetry_space_group_name_H-M 'P 1'
_symmetry_Int_Tables_number 1
loop_
_symmetry_equiv_pos_as_xyz
'x,y,z'
loop_
_atom_site_label
_atom_site_type_symbol
_atom_site_fract_x
_atom_site_fract_y
_atom_site_fract_z
Li1 Li 0.498 0.247 0.250
Li2 Li 0.499 0.248 0.751
Li3 Li 0.500 0.000 0.000
Li4 Li 0.500 0.000 0.500
Li5 Li 0.501 0.752 0.249
Li6 Li 0.502 0.753 0.750
Li7 Li 0.500 0.500 0.000
Li8 Li 0.500 0.500 0.500
V1 V 0.000 0.125 0.375
V2 V 0.000 0.875 0.625
V3 V 0.000 0.624 0.875
V4 V 0.000 0.625 0.374
V5 V 0.000 0.376 0.125
V6 V 0.000 0.375 0.626
Cr1 Cr 0.001 0.124 0.876
Cr2 Cr 0.999 0.876 0.124
O1 O 0.773 0.067 0.189
O2 O 0.775 0.068 0.691
O3 O 0.225 0.180 0.061
O4 O 0.229 0.183 0.561
O5 O 0.775 0.820 0.939
O6 O 0.227 0.933 0.811
O7 O 0.771 0.817 0.439
O8 O 0.225 0.932 0.309
O9 O 0.772 0.571 0.187
O10 O 0.226 0.685 0.060
O11 O 0.772 0.567 0.689
O12 O 0.231 0.683 0.560
O13 O 0.774 0.315 0.940
O14 O 0.228 0.429 0.813
O15 O 0.769 0.317 0.440
O16 O 0.228 0.433 0.311
```

***

Entry 3:
# Li4V3CrO8

A relaxed Li4V3CrO8 crystal (PBE with a Hubbard U, the Materials Project database).

Geometry as CIF:
```
data_Li4V3CrO8
_chemical_formula_sum 'Li8 V6 Cr2 O16'
_cell_length_a 5.170
_cell_length_b 7.910
_cell_length_c 7.915
_cell_angle_alpha 81.97
_cell_angle_beta 83.75
_cell_angle_gamma 70.96
_symmetry_space_group_name_H-M 'P 1'
_symmetry_Int_Tables_number 1
loop_
_symmetry_equiv_pos_as_xyz
'x,y,z'
loop_
_atom_site_label
_atom_site_type_symbol
_atom_site_fract_x
_atom_site_fract_y
_atom_site_fract_z
Li1 Li 0.000 0.687 0.938
Li2 Li 0.002 0.436 0.687
Li3 Li 0.998 0.564 0.313
Li4 Li 0.000 0.063 0.810
Li5 Li 0.002 0.185 0.439
Li6 Li 0.000 0.313 0.062
Li7 Li 0.998 0.815 0.561
Li8 Li 0.000 0.937 0.190
V1 V 0.500 0.375 0.875
V2 V 0.500 0.500 0.500
V3 V 0.500 0.625 0.125
V4 V 0.499 0.251 0.250
V5 V 0.501 0.749 0.750
V6 V 0.500 0.000 0.000
Cr1 Cr 0.500 0.124 0.624
Cr2 Cr 0.500 0.876 0.376
O1 O 0.733 0.533 0.908
O2 O 0.270 0.589 0.718
O3 O 0.727 0.663 0.532
O4 O 0.274 0.212 0.841
O5 O 0.727 0.285 0.656
O6 O 0.730 0.411 0.282
O7 O 0.273 0.337 0.468
O8 O 0.727 0.911 0.780
O9 O 0.726 0.035 0.409
O10 O 0.267 0.467 0.092
O11 O 0.274 0.965 0.591
O12 O 0.730 0.161 0.032
O13 O 0.273 0.089 0.220
O14 O 0.726 0.788 0.159
O15 O 0.273 0.715 0.344
O16 O 0.270 0.839 0.968
```

***

Entry 4:
# Li2VCr3O8

A relaxed Li2VCr3O8 crystal (PBE with a Hubbard U, the Materials Project database).

Geometry as CIF:
```
data_Li2VCr3O8
_chemical_formula_sum 'Li4 V2 Cr6 O16'
_cell_length_a 5.909
_cell_length_b 5.910
_cell_length_c 10.477
_cell_angle_alpha 74.56
_cell_angle_beta 73.62
_cell_angle_gamma 60.01

Request >
Next, search the entries above for the word "with" and type out each line that has it.

Response >
A relaxed Li2VCr2O6 crystal (PBE with a Hubbard U, the Materials Project database).
A relaxed Li4V3CrO8 crystal (PBE with a Hubbard U, the Materials Project database).
A relaxed Li4V3CrO8 crystal (PBE with a Hubbard U, the Materials Project database).
A relaxed Li2VCr3O8 crystal (PBE with a Hubbard U, the Materials Project database).